~~~
# 1
VASP calculation (PBE-GGA) on a geometry-optimized Sr2LiLaTaO6 structure. Values from VASP.

Geometry as Quantum ESPRESSO input:
```
&SYSTEM
  ibrav = 0, nat = 11, ntyp = 5
/
ATOMIC_SPECIES
Sr 87.62 Sr.upf
Li 6.94 Li.upf
La 138.91 La.upf
Ta 180.95 Ta.upf
O 16.00 O.upf
ATOMIC_POSITIONS crystal
Sr 0.7175 0.7175 0.8468
Sr 0.1914 0.1914 0.4296
Li 0.3658 0.3658 0.9016
La 0.5168 0.5168 0.4492
Ta 0.0030 0.0030 0.9895
O 0.7800 0.7800 0.1742
O 0.2418 0.2418 0.7529
O 0.7630 0.2419 0.7523
O 0.2644 0.7789 0.1737
O 0.2419 0.7630 0.7523
O 0.7789 0.2644 0.1737
CELL_PARAMETERS angstrom
-4.1704 -4.1726 -0.0102
-4.1704 -0.0102 -4.1726
0.5526 -4.7353 -4.7353
```

## Properties
**Excess energy over the best structure of this formula in the dataset**: 98 meV per atom
**Corrected total energy (MP2020 scheme)**: -7.69 eV per atom
**Symmetry**: Cm, No. 8
**Formation energy**: -2.9862 eV/atom

---

# 2
VASP calculation (PBE-GGA) on a geometry-optimized Sr2LiLaTaO6 structure. Values from VASP.

Geometry as Quantum ESPRESSO input:
```
&SYSTEM
  ibrav = 0, nat = 11, ntyp = 5
/
ATOMIC_SPECIES
Sr 87.62 Sr.upf
Li 6.94 Li.upf
La 138.91 La.upf
Ta 180.95 Ta.upf
O 16.00 O.upf
ATOMIC_POSITIONS crystal
Sr 0.8159 0.6841 0.8159
Sr 0.1841 0.3159 0.1841
Li 0.5000 0.0000 0.5000
La 0.5000 0.5000 0.5000
Ta 0.0000 0.0000 0.0000
O 0.7716 0.7641 0.2284
O 0.2284 0.2359 0.7716
O 0.7756 0.2244 0.7756
O 0.2244 0.7756 0.2244
O 0.2284 0.7641 0.7716
O 0.7716 0.2359 0.2284
CELL_PARAMETERS angstrom
3.6106 -0.4128 5.1466
5.9541 -1.0083 -0.6713
4.0443 4.6073 1.4529
```

## Properties
**Excess energy over the best structure of this formula in the dataset**: 142 meV per atom
**Corrected total energy (MP2020 scheme)**: -7.65 eV per atom
**Symmetry**: Immm, No. 71
**Formation energy**: -2.9422 eV/atom

---

# 3
VASP calculation (PBE-GGA) on a geometry-optimized Sr2LiLaTi4O12 structure. Values from VASP.

Geometry as Quantum ESPRESSO input:
```
&SYSTEM
  ibrav = 0, nat = 20, ntyp = 5
/
ATOMIC_SPECIES
Sr 87.62 Sr.upf
Li 6.94 Li.upf
La 138.91 La.upf
Ti 47.87 Ti.upf
O 16.00 O.upf
ATOMIC_POSITIONS crystal
Sr 0.2483 0.2483 0.0000
Sr 0.7517 0.7517 0.0000
Li 0.0000 0.0000 0.0000
La 0.5000 0.5000 0.0000
Ti 0.8763 0.3763 0.5000
Ti 0.1237 0.6237 0.5000
Ti 0.3763 0.8763 0.5000
Ti 0.6237 0.1237 0.5000
O 0.6202 0.1330 0.0000
O 0.8670 0.3798 0.0000
O 0.1330 0.6202 0.0000
O 0.3798 0.8670 0.0000
O 0.7500 0.2500 0.5000
O 0.0000 0.5000 0.5000
O 0.2500 0.7500 0.5000
O 0.5000 0.0000 0.5000
O 0.6202 0.6202 0.4873
O 0.8670 0.8670 0.4873
O 0.1330 0.1330 0.5127
O 0.3798 0.3798 0.5127
CELL_PARAMETERS angstrom
-2.5848 0.8430 8.3400
-7.1681 -3.4841 3.6644
6.9252 -1.8858 -5.0432
```

## Properties
**Corrected total energy (MP2020 scheme)**: -8.53 eV per atom
**Symmetry**: I4/mmm, No. 139
**Formation energy**: -3.4707 eV/atom

---

# 4
VASP calculation (PBE-GGA) on a geometry-optimized Li5La3Ta2O12 structure. Values from VASP.

Geometry as Quantum ESPRESSO input:
```
&SYSTEM
  ibrav = 0, nat = 88, ntyp = 4
/
ATOMIC_SPECIES
Li 6.94 Li.upf
La 138.91 La.upf
Ta 180.95 Ta.upf
O 16.00 O.upf
ATOMIC_POSITIONS crystal
Li 0.6250 0.7500 0.3750
Li 0.8750 0.2500 0.1250
Li 0.2500 0.6250 0.3750
Li 0.1250 0.7500 0.8750
Li 0.2500 0.1250 0.8750
Li 0.8750 0.1250 0.7500
Li 0.2500 0.2500 0.2500
Li 0.0000 0.7500 0.5000
Li 0.7500 0.8750 0.1250
Li 0.5000 0.0000 0.2500
Li 0.0000 0.2500 0.5000
Li 0.3750 0.6250 0.7500
Li 0.5000 0.0000 0.7500
Li 0.6250 0.3750 0.2500
Li 0.3750 0.2500 0.6250
Li 0.7500 0.3750 0.6250
Li 0.1250 0.8750 0.2500
Li 0.2500 0.5000 0.0000
Li 0.7500 0.5000 0.0000
Li 0.7500 0.7500 0.7500
La 0.6250 0.8750 0.7500
La 0.3750 0.1250 0.2500
La 0.2500 0.8750 0.6250
La 0.7500 0.1250 0.3750
La 0.3750 0.7500 0.1250
La 0.8750 0.6250 0.2500
La 0.8750 0.7500 0.6250
La 0.6250 0.2500 0.8750
La 0.2500 0.3750 0.1250
La 0.7500 0.6250 0.8750
La 0.1250 0.3750 0.7500
La 0.1250 0.2500 0.3750
Ta 0.5000 0.5000 0.5000
Ta 0.5000 0.5000 0.0000
Ta 0.0000 0.0000 0.0000
Ta 0.5000 0.0000 0.5000
Ta 0.0000 0.5000 0.5000
Ta 0.5000 0.0000 0.0000
~~~
It remains to restate everything further up exactly.
# 1
VASP calculation (PBE-GGA) on a geometry-optimized Sr2LiLaTaO6 structure. Values from VASP.

Geometry as Quantum ESPRESSO input:
```
&SYSTEM
  ibrav = 0, nat = 11, ntyp = 5
/
ATOMIC_SPECIES
Sr 87.62 Sr.upf
Li 6.94 Li.upf
La 138.91 La.upf
Ta 180.95 Ta.upf
O 16.00 O.upf
ATOMIC_POSITIONS crystal
Sr 0.7175 0.7175 0.8468
Sr 0.1914 0.1914 0.4296
Li 0.3658 0.3658 0.9016
La 0.5168 0.5168 0.4492
Ta 0.0030 0.0030 0.9895
O 0.7800 0.7800 0.1742
O 0.2418 0.2418 0.7529
O 0.7630 0.2419 0.7523
O 0.2644 0.7789 0.1737
O 0.2419 0.7630 0.7523
O 0.7789 0.2644 0.1737
CELL_PARAMETERS angstrom
-4.1704 -4.1726 -0.0102
-4.1704 -0.0102 -4.1726
0.5526 -4.7353 -4.7353
```

## Properties
**Excess energy over the best structure of this formula in the dataset**: 98 meV per atom
**Corrected total energy (MP2020 scheme)**: -7.69 eV per atom
**Symmetry**: Cm, No. 8
**Formation energy**: -2.9862 eV/atom

---

# 2
VASP calculation (PBE-GGA) on a geometry-optimized Sr2LiLaTaO6 structure. Values from VASP.

Geometry as Quantum ESPRESSO input:
```
&SYSTEM
  ibrav = 0, nat = 11, ntyp = 5
/
ATOMIC_SPECIES
Sr 87.62 Sr.upf
Li 6.94 Li.upf
La 138.91 La.upf
Ta 180.95 Ta.upf
O 16.00 O.upf
ATOMIC_POSITIONS crystal
Sr 0.8159 0.6841 0.8159
Sr 0.1841 0.3159 0.1841
Li 0.5000 0.0000 0.5000
La 0.5000 0.5000 0.5000
Ta 0.0000 0.0000 0.0000
O 0.7716 0.7641 0.2284
O 0.2284 0.2359 0.7716
O 0.7756 0.2244 0.7756
O 0.2244 0.7756 0.2244
O 0.2284 0.7641 0.7716
O 0.7716 0.2359 0.2284
CELL_PARAMETERS angstrom
3.6106 -0.4128 5.1466
5.9541 -1.0083 -0.6713
4.0443 4.6073 1.4529
```

## Properties
**Excess energy over the best structure of this formula in the dataset**: 142 meV per atom
**Corrected total energy (MP2020 scheme)**: -7.65 eV per atom
**Symmetry**: Immm, No. 71
**Formation energy**: -2.9422 eV/atom

---

# 3
VASP calculation (PBE-GGA) on a geometry-optimized Sr2LiLaTi4O12 structure. Values from VASP.

Geometry as Quantum ESPRESSO input:
```
&SYSTEM
  ibrav = 0, nat = 20, ntyp = 5
/
ATOMIC_SPECIES
Sr 87.62 Sr.upf
Li 6.94 Li.upf
La 138.91 La.upf
Ti 47.87 Ti.upf
O 16.00 O.upf
ATOMIC_POSITIONS crystal
Sr 0.2483 0.2483 0.0000
Sr 0.7517 0.7517 0.0000
Li 0.0000 0.0000 0.0000
La 0.5000 0.5000 0.0000
Ti 0.8763 0.3763 0.5000
Ti 0.1237 0.6237 0.5000
Ti 0.3763 0.8763 0.5000
Ti 0.6237 0.1237 0.5000
O 0.6202 0.1330 0.0000
O 0.8670 0.3798 0.0000
O 0.1330 0.6202 0.0000
O 0.3798 0.8670 0.0000
O 0.7500 0.2500 0.5000
O 0.0000 0.5000 0.5000
O 0.2500 0.7500 0.5000
O 0.5000 0.0000 0.5000
O 0.6202 0.6202 0.4873
O 0.8670 0.8670 0.4873
O 0.1330 0.1330 0.5127
O 0.3798 0.3798 0.5127
CELL_PARAMETERS angstrom
-2.5848 0.8430 8.3400
-7.1681 -3.4841 3.6644
6.9252 -1.8858 -5.0432
```

## Properties
**Corrected total energy (MP2020 scheme)**: -8.53 eV per atom
**Symmetry**: I4/mmm, No. 139
**Formation energy**: -3.4707 eV/atom

---

# 4
VASP calculation (PBE-GGA) on a geometry-optimized Li5La3Ta2O12 structure. Values from VASP.

Geometry as Quantum ESPRESSO input:
```
&SYSTEM
  ibrav = 0, nat = 88, ntyp = 4
/
ATOMIC_SPECIES
Li 6.94 Li.upf
La 138.91 La.upf
Ta 180.95 Ta.upf
O 16.00 O.upf
ATOMIC_POSITIONS crystal
Li 0.6250 0.7500 0.3750
Li 0.8750 0.2500 0.1250
Li 0.2500 0.6250 0.3750
Li 0.1250 0.7500 0.8750
Li 0.2500 0.1250 0.8750
Li 0.8750 0.1250 0.7500
Li 0.2500 0.2500 0.2500
Li 0.0000 0.7500 0.5000
Li 0.7500 0.8750 0.1250
Li 0.5000 0.0000 0.2500
Li 0.0000 0.2500 0.5000
Li 0.3750 0.6250 0.7500
Li 0.5000 0.0000 0.7500
Li 0.6250 0.3750 0.2500
Li 0.3750 0.2500 0.6250
Li 0.7500 0.3750 0.6250
Li 0.1250 0.8750 0.2500
Li 0.2500 0.5000 0.0000
Li 0.7500 0.5000 0.0000
Li 0.7500 0.7500 0.7500
La 0.6250 0.8750 0.7500
La 0.3750 0.1250 0.2500
La 0.2500 0.8750 0.6250
La 0.7500 0.1250 0.3750
La 0.3750 0.7500 0.1250
La 0.8750 0.6250 0.2500
La 0.8750 0.7500 0.6250
La 0.6250 0.2500 0.8750
La 0.2500 0.3750 0.1250
La 0.7500 0.6250 0.8750
La 0.1250 0.3750 0.7500
La 0.1250 0.2500 0.3750
Ta 0.5000 0.5000 0.5000
Ta 0.5000 0.5000 0.0000
Ta 0.0000 0.0000 0.0000
Ta 0.5000 0.0000 0.5000
Ta 0.0000 0.5000 0.5000
Ta 0.5000 0.0000 0.0000